11 April 2010

There's Something About Flowers...

Flowers have a delightful way of cheering up even the most melancholy of souls, for their perkiness and unique personality just have a certain way of making their admirer smile.  People purchase flowers for occasions like birthdays, anniversaries, Mother's Day, Valentine's Day, dinner parties, those, "I saw them and thought of you" instances, when someone feels the need to make up for something bad, weddings, funerals, even Macy's in Union Square transforms themselves into a jungle of blooms.  Their purpose on these occasions is to brighten, beautify, add bursts of color in every corner possible.  Flowers are so coveted because the vast variety of them makes it impossible to not be quite pleased with one, or a bunch, smiling right back up at you.  It really is undoubtedly remarkable how nature's way of cultivating soil and keeping the bees busy making honey can also bring so much simple joy to a person.  

As a super fan of these friendly buds, I do make it a point to keep fresh cut flowers in my apartment to keep the space bright and add a dose of nature to my backyard-less 6th floor studio.  Currently, I have ranunculus flowers on my book shelf and in my bathroom.  They were nodding at me at Trader Joe's, saying, "Buy Me!" in the most sing song way possible.  Now that I have them in my Strauss Milk glass bottles, they are spreading their petals most delicately and were definitely worth the $3.99/bunch.  

  Image courtesy of me.

Aside from the flowers in my apartment, I recently took a much needed therapy trip to the Botanical Gardens in Golden Gate Park.  These gardens are not only huge and still expanding, they are also free which is amazing seeing how SF's latest trend is to suck as much money out of you in any way possible.  Nonetheless, on a gorgeous Spring day, flouncing around in a skirt, tank top and digital point and shoot (Konica Minolta, Dimage G600, yes I'm working on saving to purchase a digital SLR), I wandered about the gardens capturing as many photos of flowers, leaves, greenery, whatever I could find that had a unique balance of color and shadows to further expand my growing collection of botanical photography.  

Quantum chemistry results that have nothing to do with the text
____________
Entry 1:
An isolated molecule of C7H13NO4 at a distorted geometry. Source: the OMol25 dataset; level of theory: ωB97M-V/def2-TZVPD.

Computed properties:
* relative energy (zero: lowest compared OMol25 entry of this formula, charge and spin): 34.97 kcal per mole
* SMILES: C[C@H]1N=C(CO)[C@H](O)[C@@H](O)[C@H]1O
* net charge: 0
* HOMO-LUMO gap: 9.53 eV
* highest occupied orbital energy: -8.943 eV

Each line ends with the Mulliken charge.
Geometry (Å):
C 1.15441 0.96546 2.09378  -1.519
C 1.24806 0.22598 0.83008  0.286
N 0.24939 -0.85349 0.83919  -0.589
C -0.74412 -0.99343 0.12287  0.695
C -1.60099 -2.20216 0.24831  -1.071
O -1.34253 -3.18211 -0.73691  -0.534
C -1.00917 -0.14333 -1.12070  0.023
O -0.77002 -0.75558 -2.32333  -0.560
C -0.30436 1.24501 -0.93598  -0.304
O -1.03360 1.90590 0.08714  -0.597
C 1.14842 0.96426 -0.47497  -0.002
O 1.80606 2.23716 -0.41988  -0.579
H 2.09882 1.47765 2.41603  0.294
H 0.92821 0.14673 2.79509  0.422
H 0.33077 1.67426 2.16079  0.307
H 2.18734 -0.24305 0.94493  0.414
H -1.40717 -2.65305 1.24673  0.372
H -2.65947 -2.00199 0.18101  0.354
H -0.47398 -3.48661 -0.44763  0.340
H -2.09748 0.20971 -1.17515  0.263
H -1.04611 -1.70038 -2.29116  0.423
H -0.30412 1.78086 -1.88158  0.380
H -0.52700 2.76308 0.07168  0.432
H 1.58683 0.22911 -1.22630  0.402
H 2.58181 2.39002 -1.00401  0.348

---

Entry 2:
A structure of composition C7H13NOPV at a distorted geometry. Source: the OMol25 dataset; level of theory: ωB97M-V/def2-TZVPD.

Computed properties:
* <S²>: 0.778
* net charge: +1
* 2S+1: 2
* HOMO-LUMO gap (spin up / spin down): 8.44 / 7.94 eV
* highest occupied orbital energy (spin up / spin down): -12.176 / -11.554 eV

Each line ends with the Mulliken charge.
Geometry (Å):
C 0.86952 0.20302 -2.81964  -0.765
C -0.36177 -0.44348 -2.56864  -0.018
C -0.13120 -1.72692 -1.99937  -0.671
C 1.27561 -2.00208 -1.93906  -0.128
C 1.96342 -0.79223 -2.33535  -0.927
V 1.02434 0.33261 -0.61380  0.823
P -0.04144 2.38133 -0.48396  -0.228
H 0.97828 1.19046 -3.30260  0.504
H -1.32614 -0.05712 -2.84180  0.444
H -0.94497 -2.37914 -1.71718  0.446
H 3.05676 -0.60320 -2.36521  0.479
H 1.70843 -2.93297 -1.66279  0.480
H -1.12367 2.66542 0.41605  0.147
H -0.55632 2.99335 -1.67737  0.151
H 0.93136 3.38577 -0.11632  0.135
C -0.39209 -0.29066 3.89451  -1.051
C -0.44042 -0.23773 2.39614  0.814
N -1.68858 -0.22363 1.84962  -0.306
O 0.62831 -0.17049 1.73736  -0.616
H -1.38931 -0.32410 4.30784  0.353
H 0.14236 0.59721 4.26063  0.276
H 0.18013 -1.15991 4.24477  0.294
H -1.88161 -0.13715 0.85659  0.157
H -2.48099 -0.26836 2.47959  0.209

---

Entry 3:
An isolated molecule of C7H13NOS at a distorted geometry. Source: the OMol25 dataset; level of theory: ωB97M-V/def2-TZVPD.

Computed properties:
* relative energy (zero: lowest compared OMol25 entry of this formula, charge and spin): 92.82 kcal per mole
* net charge: 0
* HOMO-LUMO gap (spin up / spin down): 6.88 / 6.87 eV
* highest occupied orbital energy (spin up / spin down): -7.440 / -7.440 eV
____________

To walk about the gardens, through the grass, dirt paths, in-between trees, brush, flower beds, ponds, swamps, all sorts of elements you would find in tucked away corners of the earth are what make the Botanical Gardens so much to enjoy.  Some may ask, "Why do you just want to go look at plants all day?" Why not?  Nature is something so precious to this earth that we have to cherish and respect the organic beauty it has.  In everyday life we see processed beauty -- from industrial architecture, to beautiful clothes and shoes, to pretty pieces we find in shops -- but natural beauty, that which can only be provided by the sun, terrain and rain, is how we as people are able to process and create beauty.  

Have a little look-see at the photos from my recent trip here, 
SF Botanical Gardens

If you haven't yet been to the gardens, or have, but haven't been back in a while, I encourage you to take advantage of a gorgeous Spring day, and enjoy getting lost in the stunning world of plants, trees, flowers and everything in-between.